Entry 1:
Computed, not measured: a geometry-optimized CaMnB2O5 structure at the GGA+U level of DFT.

Output
magnetic moment: 0.556 μB/atom
crystal system: monoclinic
formation enthalpy at 0 K: -25.92 eV per formula unit

Cell and atoms, written as CIF:
```
data_CaMnB2O5
_chemical_formula_sum 'Ca8 Mn8 B16 O40'
_cell_length_a 12.537
_cell_length_b 11.552
_cell_length_c 5.736
_cell_angle_alpha 90.00
_cell_angle_beta 102.57
_cell_angle_gamma 90.00
_space_group_name_H-M_alt 'P 1 21/c 1'
_space_group_IT_number 14
loop_
_space_group_symop_operation_xyz
'x,y,z'
'-x,-y,-z'
'-x,y+1/2,-z+1/2'
'x,-y+1/2,z+1/2'
loop_
_atom_site_label
_atom_site_type_symbol
_atom_site_fract_x
_atom_site_fract_y
_atom_site_fract_z
Ca1 Ca 0.087 0.128 0.146
Ca2 Ca 0.408 0.619 0.374
Mn1 Mn 0.238 0.628 0.750
Mn2 Mn 0.264 0.128 0.755
B1 B 0.011 0.619 0.852
B2 B 0.173 0.624 0.200
B3 B 0.328 0.116 0.293
B4 B 0.491 0.125 0.630
O1 O 0.058 0.627 0.102
O2 O 0.066 0.574 0.692
O3 O 0.091 0.166 0.723
O4 O 0.215 0.695 0.389
O5 O 0.241 0.554 0.105
O6 O 0.266 0.190 0.396
O7 O 0.278 0.046 0.107
O8 O 0.409 0.677 0.808
O9 O 0.438 0.087 0.800
O10 O 0.443 0.112 0.381
```

***

Entry 2:
Computed, not measured: a geometry-optimized CeBMoO6 structure at the GGA+U level of DFT.

Output
magnetic moment: 0.111 μB/atom
crystal system: monoclinic
formation enthalpy at 0 K: -25.01 eV per formula unit

Cell and atoms, written as CIF:
```
data_CeBMoO6
_chemical_formula_sum 'Ce4 B4 Mo4 O24'
_cell_length_a 10.326
_cell_length_b 4.174
_cell_length_c 12.062
_cell_angle_alpha 90.00
_cell_angle_beta 116.15
_cell_angle_gamma 90.00
_space_group_name_H-M_alt 'P 1 21/c 1'
_space_group_IT_number 14
loop_
_space_group_symop_operation_xyz
'x,y,z'
'-x,-y,-z'
'-x,y+1/2,-z+1/2'
'x,-y+1/2,z+1/2'
loop_
_atom_site_label
_atom_site_type_symbol
_atom_site_fract_x
_atom_site_fract_y
_atom_site_fract_z
Ce1 Ce 0.198 0.215 0.032
B1 B 0.004 0.666 0.809
Mo1 Mo 0.355 0.693 0.819
O1 O 0.003 0.730 0.414
O2 O 0.031 0.160 0.300
O3 O 0.256 0.723 0.150
O4 O 0.264 0.725 0.415
O5 O 0.338 0.235 0.302
O6 O 0.455 0.233 0.107
```

***

Entry 3:
Computed, not measured: a geometry-optimized CoBH18N6Cl2F4 structure at the GGA+U level of DFT.

Output
magnetic moment: 0.000 μB/atom
crystal system: monoclinic
formation enthalpy at 0 K: -29.32 eV per formula unit

Cell and atoms, written as CIF:
```
data_CoBH18N6Cl2F4
_chemical_formula_sum 'Co4 B4 H72 N24 Cl8 F16'
_cell_length_a 13.730
_cell_length_b 7.576
_cell_length_c 12.389
_cell_angle_alpha 90.00
_cell_angle_beta 109.70
_cell_angle_gamma 90.00
_space_group_name_H-M_alt 'P 1 21/c 1'
_space_group_IT_number 14
loop_
_space_group_symop_operation_xyz
'x,y,z'
'-x,-y,-z'
'-x,y+1/2,-z+1/2'
'x,-y+1/2,z+1/2'
loop_
_atom_site_label
_atom_site_type_symbol
_atom_site_fract_x
_atom_site_fract_y
_atom_site_fract_z
Co1 Co 0.000 0.000 0.000
Co2 Co 0.500 0.000 0.500
B1 B 0.202 0.044 0.729
H1 H 0.003 0.703 0.099
H2 H 0.007 0.248 0.141
H3 H 0.059 0.585 0.334
H4 H 0.069 0.071 0.215
H5 H 0.095 0.207 0.521
H6 H 0.104 0.191 0.909
H7 H 0.156 0.701 0.533
H8 H 0.160 0.614 0.658
H9 H 0.199 0.001 0.068
H10 H 0.350 0.215 0.419
H11 H 0.353 0.585 0.071
H12 H 0.356 0.729 0.931
H13 H 0.372 0.128 0.587
H14 H 0.378 0.125 0.312
H15 H 0.386 0.658 0.822
H16 H 0.451 0.506 0.181
H17 H 0.452 0.215 0.887
H18 H 0.462 0.696 0.407
N1 N 0.006 0.113 0.146
N2 N 0.054 0.217 0.952
N3 N 0.143 0.588 0.572
N4 N 0.410 0.009 0.594
N5 N 0.411 0.175 0.394
N6 N 0.418 0.693 0.907
Cl1 Cl 0.173 0.576 0.877
Cl2 Cl 0.417 0.502 0.634
F1 F 0.098 0.506 0.163
F2 F 0.206 0.074 0.844
F3 F 0.226 0.203 0.683
F4 F 0.271 0.589 0.225
```

***

Entry 4:
Computed, not measured: a geometry-optimized Co2BP4H2Pb4ClO18 structure at the GGA+U level of DFT.

Output
magnetic moment: 0.188 μB/atom
crystal system: trigonal
formation enthalpy at 0 K: -69.90 eV per formula unit

Cell and atoms, written as CIF:
```
data_Co2BP4H2Pb4ClO18
_chemical_formula_sum 'Co36 B18 P72 H36 Pb72 Cl18 O324'
_cell_length_a 9.8369
_cell_length_b 9.8369
_cell_length_c 92.2919

Type out every line further above that contains the word "H7".

H7 H 0.156 0.701 0.533